Category Archives: Previews

GrogHeads Advanced Research on Projects Advisory #89

GARPA returns for more pre-order goodies ~


HOLDFAST: North Africa 1941-42  (Worthington Publishing)
$21k of $2500, ends 15 March 2016

Worthington’s Holdfast series is back.  After Russia and Korea, they guys head to North Africa.  The standard Holdfast features are back, with fog of war, fast play times, and engaging turn sequences that keep players constantly guessing about what’s up next.  Like every other North Africa game, you need a table that’s about 24 inches wide and 28374652938762 feet long, but you’ll be chasing panzers across the sands before you know it.  Rumble over to their campaign page and you can fire off your pledge.



GrogHeads Advanced Research on Projects Advisory #88

Here’s GARPA, our fortnightly bundle of pre-ordering goodness! ~

Pendragon: The Fall of Roman Britain (GMT Games)
p500 $65, MSRP $95

It got funded in a few days, so it is going to press. The latest entry into the COIN series keeps giving us counterinsurgency warfare from off the beaten path – no Malaysia or Sri Lanka here. This entry brings in a greater level of economics, and boffo-keen (though ahistorical) castle meeples. Scots and Saxons are among the factions that vie for power and veterans of the COIN system already know how to play. Liberty or Death sold out in a hurry, and that’s after all the p500 orders were delivered. Get this now, or miss out and be the laughingstock of the forums when you look for sympathy.

**What comes next are records of crystals, not part of the entry**
/*
# 1
This entry pairs a crystal structure of NaCaSnSbO6 with its simulated X-ray diffraction stick pattern. Radiation: Cu Ka. Structure: a crystal structure in the Materials Project, relaxed with PBE.

Atomic structure:
a = 8.027 Å, b = 8.027 Å, c = 8.027 Å
α = 90.00°, β = 90.00°, γ = 90.00°
Space group F-43m (No. 216)
Asymmetric unit:
Na 0.000 0.000 0.000 (multiplicity 4)
Ca 0.000 0.000 0.500 (multiplicity 4)
Sn 0.250 0.250 0.750 (multiplicity 4)
Sb 0.250 0.250 0.250 (multiplicity 4)
O 0.004 0.250 0.250 (multiplicity 24)

Top 6 peaks for 10° ≤ 2θ ≤ 90°, low angle first:
(2 0 0), 2θ 22.15, intensity 70; (2 2 0), 2θ 31.52, intensity 100; (4 0 0), 2θ 45.18, intensity 39; (4 2 0), 2θ 50.87, intensity 30; (4 2 2), 2θ 56.13, intensity 40; (4 4 0), 2θ 65.81, intensity 23

***

# 2
This entry pairs a crystal structure of NaCa2ScZn2Si6O18 with its simulated X-ray diffraction stick pattern. Radiation: Cu Ka. Structure: a crystal structure in the Materials Project, relaxed with PBE.

Atomic structure:
a = 9.962 Å, b = 27.247 Å, c = 5.347 Å
α = 90.00°, β = 106.24°, γ = 90.00°
Space group C2/c (No. 15)
Asymmetric unit:
Na 0.000 0.232 0.250 (multiplicity 4)
Ca 0.000 0.099 0.750 (multiplicity 4)
Ca 0.000 0.433 0.750 (multiplicity 4)
Sc 0.000 0.299 0.750 (multiplicity 4)
Zn 0.000 0.032 0.250 (multiplicity 4)
Zn 0.000 0.366 0.250 (multiplicity 4)
Si 0.211 0.136 0.263 (multiplicity 8)
Si 0.213 0.196 0.763 (multiplicity 8)
Si 0.214 0.469 0.270 (multiplicity 8)
O 0.117 0.030 0.644 (multiplicity 8)
O 0.117 0.305 0.143 (multiplicity 8)
O 0.118 0.362 0.651 (multiplicity 8)
O 0.137 0.418 0.176 (multiplicity 8)
O 0.139 0.084 0.178 (multiplicity 8)
O 0.140 0.249 0.688 (multiplicity 8)
O 0.150 0.170 0.991 (multiplicity 8)
O 0.151 0.494 0.503 (multiplicity 8)
O 0.152 0.161 0.498 (multiplicity 8)

Top 6 peaks for 10° ≤ 2θ ≤ 90°, low angle first:
(1 3 0), 2θ 13.44, intensity 29; (2 6 -1), 2θ 29.27, intensity 100; (3 3 0), 2θ 29.70, intensity 40; (1 9 -1), 2θ 34.33, intensity 31; (0 0 2), 2θ 34.96, intensity 41; (2 6 1), 2θ 35.09, intensity 43

* * * * *

Structure and simulated powder diffractogram of KAu3I6 (a crystal structure in Alexandria, relaxed with PBE; Cu Kα (λ = 1.5418 Å)).
Kinematic intensities with the Lorentz-polarization factor, no thermal factor.

Principal peaks in the range 2θ = 10–90°, by angle:
d_spacing	2θ/deg	I/Imax
8.822	10.0	64
5.415	16.4	44
4.545	19.5	64
4.501	19.7	57
4.356	20.4	100
2.941	30.4	55
2.707	33.1	62
2.617	34.3	51
2.147	42.1	38
1.956	46.4	52

Unit cell a=10.845 b=10.845 c=10.845 alpha=121.15 beta=87.03 gamma=122.30
Fractional positions:
K 0.250 0.250 0.000
K 0.750 0.750 0.000
Au 0.201 0.610 0.812
Au 0.250 0.750 0.500
Au 0.299 0.110 0.409
Au 0.701 0.890 0.591
Au 0.750 0.250 0.500
Au 0.799 0.390 0.188
I 0.103 0.540 0.201
I 0.154 0.984 0.137
I 0.161 0.960 0.563
I 0.339 0.902 0.799
I 0.346 0.484 0.830
I 0.397 0.598 0.437
I 0.603 0.402 0.563
I 0.654 0.516 0.170
I 0.661 0.098 0.201
I 0.839 0.040 0.437
I 0.846 0.016 0.863
I 0.897 0.460 0.799

***
*/



GrogHeads Previews
Tom Clancy’s The Division

=====
This entry pairs a crystal structure of Ba2Cd2Sb3 with its computed PXRD pattern. Radiation: Cu Kα X-rays. Structure: a cell relaxed with PBE.
Intensities are scaled so that the largest is 100.

Largest 12 diffraction maxima, low angle first, 2θ = 10–90°:
2theta	d_spacing	intensity
22.09	4.024	35.0
23.37	3.806	50.9
26.90	3.314	69.0
27.38	3.257	82.4
30.14	2.965	100.0
31.17	2.869	68.0
31.90	2.805	89.2
36.53	2.460	99.8
36.73	2.447	35.2
38.16	2.358	74.3
40.08	2.250	41.1
48.77	1.867	38.1

Cell and atoms:
a = 9.4966 Å, b = 9.4966 Å, c = 13.6773 Å
α = 125.37°, β = 125.37°, γ = 30.02°
Fractional positions:
Ba 0.1019 0.1019 0.4442
Ba 0.2359 0.2359 0.8374
Ba 0.7641 0.7641 0.1626
Ba 0.8981 0.8981 0.5558
Cd 0.0912 0.0912 0.1540
Cd 0.4588 0.4588 0.1894
Cd 0.5412 0.5412 0.8106
Cd 0.9088 0.9088 0.8460
Sb 0.1133 0.1133 0.9584
Sb 0.3442 0.3442 0.6952
Sb 0.4201 0.4201 0.3756
Sb 0.5799 0.5799 0.6244
Sb 0.6558 0.6558 0.3048
Sb 0.8867 0.8867 0.0416

---

This entry pairs a crystal structure of Ba2CdSe3 with its computed PXRD pattern. Radiation: Cu Kα X-rays. Structure: a cell relaxed with PBE.
Intensities are scaled so that the largest is 100.

Largest 12 diffraction maxima, low angle first, 2θ = 10–90°:
2theta	d_spacing	intensity
24.43	3.644	62.0
26.25	3.394	80.1
27.24	3.274	90.8
27.68	3.223	97.4
28.98	3.081	82.4
29.32	3.046	86.9
30.12	2.967	55.1
31.02	2.883	59.5
32.90	2.722	85.9
35.06	2.559	70.5
36.93	2.434	45.4
39.54	2.279	100.0

Cell and atoms:
a = 9.4154 Å, b = 4.5591 Å, c = 18.1892 Å
α = 90.00°, β = 90.00°, γ = 90.00°
Fractional positions:
Ba 0.0778 0.2500 0.2156
Ba 0.2398 0.2500 0.9604
Ba 0.2602 0.7500 0.4604
Ba 0.4222 0.7500 0.7156
Ba 0.5778 0.2500 0.2844
Ba 0.7398 0.2500 0.5396
Ba 0.7602 0.7500 0.0396
Ba 0.9222 0.7500 0.7844
Cd 0.1245 0.2500 0.6332
Cd 0.3755 0.7500 0.1332
Cd 0.6245 0.2500 0.8668
Cd 0.8755 0.7500 0.3668
Se 0.0150 0.2500 0.4041
Se 0.1181 0.7500 0.0721
Se 0.1856 0.2500 0.7772
Se 0.3144 0.7500 0.2772
Se 0.3819 0.2500 0.5721
Se 0.4850 0.7500 0.9041
Se 0.5150 0.2500 0.0959
Se 0.6181 0.7500 0.4279
Se 0.6856 0.2500 0.7228
Se 0.8144 0.7500 0.2228
Se 0.8819 0.2500 0.9279
Se 0.9850 0.7500 0.5959

---

This entry pairs a crystal structure of Ba2CdTe3 with its computed PXRD pattern. Radiation: Cu Kα X-rays. Structure: a cell relaxed with PBE.
Intensities are scaled so that the largest is 100.

Largest 12 diffraction maxima, low angle first, 2θ = 10–90°:
2theta	d_spacing	intensity
24.64	3.614	52.0
25.63	3.476	56.0
26.08	3.417	100.0
27.29	3.268	79.6
27.59	3.233	97.5
28.28	3.155	39.9
29.09	3.070	44.4
30.92	2.892	78.3
32.98	2.716	63.6
33.58	2.669	27.5
37.32	2.410	76.4
43.27	2.091	31.9

Cell and atoms:
a = 10.0111 Å, b = 4.8193 Å, c = 19.3817 Å
α = 90.00°, β = 90.00°, γ = 90.00°
Fractional positions:
Ba 0.0736 0.2500 0.2146
Ba 0.2466 0.2500 0.9630
Ba 0.2534 0.7500 0.4630
Ba 0.4264 0.7500 0.7146
Ba 0.5736 0.2500 0.2854
Ba 0.7466 0.2500 0.5370
Ba 0.7534 0.7500 0.0370
Ba 0.9264 0.7500 0.7854
Cd 0.1305 0.2500 0.6359
Cd 0.3695 0.7500 0.1359
=====

So with a first look inside the new Clancy-branded shooter, what does our guest author find? ~

Guest Contributor John J. Szucs, 25 February 2016

Like many of you here on GrogHeads, I have been a long-time fan of Tom Clancy’s work. His second book, Red Storm Rising, was a milestone in my life, taking me from an early-teenaged “Rambo is cool” level to life-long serious study of the art and science of warfare that helped shaped my career and given me some extraordinary experiences working side-by-side with our warfighters in Afghanistan, Iraq, and elsewhere. While the books in Tom Clancy franchise went through a period of dilution and exploitation with ghost writers, UbiSoft has generally done right by the video game side of the franchise and looks to be on track to put out three very solid titles in the 2015-2016 gaming season. The recently-released Rainbow Six Shield is the deepest and most innovative tactical shooter of the past twelve months and Ghost Recon: Wildlands looks very promising.

The third title in this line-up is Tom Clancy’s The Division, an open-world, massively multi-player online (MMO), third-person tactical role-playing game. The game recently had a closed Beta test period and just completed an open Beta period that ran from Friday, February 19 through Monday, February 22, 2016. Xbox One players, like myself, had a one-day exclusive on the open Beta, starting on Thursday, February 18.


GrogHeads Advanced Research on Projects Advisory #87

And on the Frith Day, he gave us GARPA! ~


7th Sea, Second Ed (John Wick)
$481k of $30k, ends 13 March 2016

Another project that blew through its funding goal so fast that it almost feels like they’re just making up stretch goals as they go. 7th Sea was a beloved RPG that was popular in the early 00’s, in large part because the world of Theah was such a fantabulous setting. The creator now has the rights to his game back, and is updating all the material for re-publication, and by the looks of it, there’s a few thousand people that can’t wait to get back on the train. Sail over to their Kickstarter page and marvel at the depths of their stretch goals and drop your doubloons on your own pledge.



GrogHeads Advanced Research on Projects Advisory #86

The page is interrupted by crystal structures:
=====
1.
Starting from DFT lattice parameters and positions (GGA+U), the powder XRD pattern of Mn2PO5 was calculated for copper Kα.
Kinematic intensities with the Lorentz-polarization factor, no thermal factor.

Top 10 peaks for 2θ from 5° to 70°, in order of falling intensity:
| d_spacing | I/Imax |
| --- | --- |
| 4.921 | 100 |
| 5.987 | 65 |
| 2.993 | 59 |
| 2.683 | 44 |
| 2.698 | 41 |
| 3.789 | 40 |
| 2.458 | 30 |
| 1.665 | 24 |
| 2.363 | 21 |
| 2.671 | 21 |

Crystal structure
```
32
Lattice="8.442 0.000 0.000 0.000 8.492 0.000 0.000 0.000 6.044" Properties=species:S:1:pos:R:3 pbc="T T T"
Mn 0.000 0.000 1.456
Mn 0.000 0.000 4.588
Mn 1.232 3.134 3.022
Mn 2.988 7.380 0.000
Mn 4.221 4.246 1.566
Mn 4.221 4.246 4.478
Mn 5.453 1.112 0.000
Mn 7.209 5.358 3.022
P 1.977 6.353 3.022
P 2.244 2.107 0.000
P 6.198 6.385 0.000
P 6.465 2.139 3.022
O 0.881 5.253 3.022
O 1.044 7.816 0.000
O 1.166 7.738 3.022
O 1.366 2.013 1.264
O 1.366 2.013 4.780
O 2.855 6.259 1.758
O 2.855 6.259 4.286
O 3.055 3.492 0.000
O 3.177 3.570 3.022
O 3.340 1.007 0.000
O 5.102 7.486 0.000
O 5.264 4.922 3.022
O 5.387 5.000 0.000
O 5.587 2.234 1.758
O 5.587 2.234 4.286
O 7.076 6.480 1.264
O 7.076 6.480 4.780
O 7.275 0.754 3.022
O 7.398 0.676 0.000
O 7.561 3.240 3.022
```

=====

2.
Starting from DFT lattice parameters and positions (GGA+U), the powder XRD pattern of Li5Ni3Sn2O10 was calculated for copper Kα.
Kinematic intensities with the Lorentz-polarization factor, no thermal factor.

Top 10 peaks for 2θ from 5° to 70°, in order of falling intensity:
| d_spacing | I/Imax |
| --- | --- |
| 4.910 | 100 |
| 2.141 | 51 |
| 4.958 | 47 |
| 2.150 | 47 |
| 2.124 | 46 |
| 2.476 | 36 |
| 3.967 | 29 |
| 2.586 | 28 |
| 1.504 | 27 |
| 7.272 | 25 |

Crystal structure
```
20
Lattice="5.194 0.000 0.000 0.855 5.178 0.000 2.565 2.189 7.272" Properties=species:S:1:pos:R:3 pbc="T T T"
Li 0.000 0.000 0.000
Li 6.004 2.174 1.496
Li 1.681 2.106 4.368
Li 3.382 1.012 2.161
Li 6.799 4.953 2.821
Ni 5.116 6.027 5.072
Ni 5.124 3.357 6.541
Ni 7.696 4.682 5.796
Sn 3.372 3.704 0.724
Sn 4.305 3.496 3.644
O 3.422 2.818 5.410
O 2.592 2.981 2.512
O 1.719 0.400 1.020
O 3.523 5.409 4.119
O 4.321 5.326 6.726
O 5.059 1.565 3.432
O 6.702 6.560 6.129
O 5.085 4.193 1.833
O 5.968 4.114 4.745
O 4.250 1.851 0.277
```

=====

3.
Starting from DFT lattice parameters and positions (GGA+U), the powder XRD pattern of FeF6 was calculated for copper Kα.
Kinematic intensities with the Lorentz-polarization factor, no thermal factor.

Top 10 peaks for 2θ from 5° to 70°, in order of falling intensity:
| d_spacing | I/Imax |
| --- | --- |
| 7.772 | 100 |
| 4.297 | 99 |
| 5.157 | 25 |
| 3.886 | 19 |
| 2.285 | 18 |
| 2.801 | 16 |
| 2.901 | 13 |
| 1.829 | 10 |
| 1.638 | 8 |
| 2.932 | 8 |

Crystal structure
```
14
Lattice="1.551 -5.157 0.000 1.551 5.157 0.000 -0.471 0.000 15.544" Properties=species:S:1:pos:R:3 pbc="T T T"
Fe 0.775 2.579 0.000
Fe 0.540 -2.579 7.772
F 0.216 0.586 4.515
F 0.293 1.709 14.024
F 0.659 1.496 7.153
F -0.019 -0.586 12.287
=====
End of the crystal structures:

An episode of GARPA full of un-funded projects.  Don’t let that stop you 🙂  ~


Polyversal (Collins Epic Wargames)
$13k of $80k, ends 27 March 2016

We’ve been following Polyversal for a few years now. Yes, years. Here’s the photographic proof at Origins! (Heck, here’s another from 2013…) It’s 6mm sci-fi warfare, so you can play out a large battle over a medium-sized table. There’s a unique visual representation of the command structures based on hexagonal-shaped unit cards whose layout provides a quick look at the unit relationships.   There’s even an online unit assessment tool that lets you bring your own minis to the game, so all those WH40K epic-scale minis that have been languishing in your garage can now come back to life. Teleport over to their campaign page, NOW!
